## Given
........
ORCA calculation (wB97M-V/def2-TZVPD) on a cluster of 3 separate species, C29H61N3O8 in total.

Last column: Löwdin charge in e.
Element x y z (Å)
C 4.77 -1.29 3.13  -0.13
C 3.46 -0.99 2.22  -0.23
C 3.86 0.20 1.19  -0.23
C 2.55 0.97 0.64  -0.20
C 1.92 1.97 1.73  -0.21
C 0.63 1.40 2.50  -0.20
C -0.70 2.28 2.18  -0.19
C -1.37 2.79 3.54  -0.22
C -2.69 3.68 3.35  -0.21
C -3.85 2.98 2.48  -0.19
C -4.62 1.81 3.27  -0.11
C -4.45 0.34 2.65  -0.23
O -3.18 -0.07 2.08  0.04
C -3.42 0.06 0.66  -0.40
O -2.56 0.03 -0.23  0.12
O -4.83 0.24 0.37  0.07
C -5.50 -0.20 1.57  -0.24
N -5.86 -1.64 1.71  -0.07
C -7.32 -1.78 2.11  -0.08
C -5.70 -2.38 0.44  -0.36
C -4.33 -3.01 -0.09  0.00
O -6.73 -2.57 -0.28  0.02
H 5.72 -1.04 2.56  0.06
H 4.65 -0.67 4.08  0.07
H 4.80 -2.40 3.40  0.06
H 2.60 -0.57 2.85  0.09
H 3.18 -1.90 1.60  0.11
H 4.57 0.91 1.73  0.09
H 4.42 -0.20 0.26  0.11
H 2.84 1.60 -0.28  0.10
H 1.75 0.23 0.27  0.11
H 2.72 2.25 2.52  0.11
H 1.67 2.95 1.19  0.09
H 0.47 0.28 2.29  0.11
H 0.81 1.48 3.63  0.10
H -1.37 1.62 1.53  0.08
H -0.45 3.20 1.52  0.12
H -1.58 1.96 4.30  0.12
H -0.59 3.48 4.05  0.12
H -3.15 3.86 4.40  0.11
H -2.48 4.73 2.92  0.11
H -4.64 3.81 2.29  0.11
H -3.49 2.68 1.43  0.11
H -5.75 2.02 3.32  0.13
H -4.25 1.81 4.35  0.12
H -4.70 -0.33 3.56  0.16
H -6.46 0.33 1.89  0.16
H -7.42 -1.37 3.19  0.10
H -7.58 -2.90 2.11  0.11
H -8.02 -1.18 1.44  0.10
H -4.00 -2.35 -0.97  0.10
H -3.54 -2.80 0.74  0.09
H -4.40 -4.11 -0.35  0.09
C -6.08 -4.12 -3.36  -0.12
O -6.28 -4.62 -4.68  -0.20
C -5.93 -3.69 -5.70  -0.21
C -4.67 -4.15 -6.44  -0.21
N -3.49 -4.05 -5.59  -0.05
C -2.31 -4.74 -6.14  -0.20
C -2.41 -6.27 -6.34  -0.22
O -2.49 -7.01 -5.13  -0.18
C -3.79 -7.11 -4.58  -0.10
H -6.54 -4.82 -2.66  0.09
H -5.01 -4.07 -3.13  0.06
H -6.54 -3.14 -3.23  0.09
H -5.81 -2.67 -5.31  0.12
H -6.76 -3.68 -6.41  0.12
H -4.53 -3.53 -7.33  0.12
H -4.85 -5.19 -6.76  0.10
H -3.69 -4.45 -4.68  0.06
H -1.49 -4.55 -5.44  0.12
H -2.03 -4.27 -7.08  0.12
H -1.47 -6.58 -6.82  0.12
H -3.21 -6.55 -7.03  0.11
H -4.57 -7.13 -5.35  0.09
H -3.97 -6.29 -3.89  0.07
H -3.86 -8.03 -4.01  0.09
C 7.69 6.78 1.78  -0.11
O 8.11 6.21 0.56  -0.20
C 9.37 5.53 0.65  -0.21
C 9.17 4.02 0.52  -0.21
N 8.50 3.46 1.69  -0.05
C 8.03 2.09 1.51  -0.19
C 6.98 1.83 0.41  -0.21
O 5.71 2.40 0.68  -0.23
C 5.59 3.77 0.33  -0.08
H 6.83 7.43 1.58  0.09
H 7.37 6.01 2.49  0.07
H 8.47 7.39 2.23  0.09
H 9.91 5.79 1.57  0.12
H 9.97 5.88 -0.19  0.12
H 10.15 3.54 0.40  0.12
H 8.59 3.85 -0.39  0.10
H 7.70 4.04 1.93  0.06
H 7.59 1.78 2.46  0.12
H 8.90 1.44 1.34  0.12
H 6.82 0.75 0.38  0.11
H 7.34 2.11 -0.59  0.11
H 6.19 4.03 -0.55  0.09
H 5.86 4.40 1.18  0.07
H 4.54 3.97 0.10  0.09

Its LUMO energy is 0.616 eV. The SMILES is CCCCCCCCCCC[C@@H]1OC(=O)O[C@H]1N(C)C(C)=O.COCCNCCOC.COCCNCCOC. For the HOMO energy, the calculation gives -0.3132 Eh. The calculation puts the electronic energy at -51905.519 eV.

~~~~~

1.
{
  "formula": "C39H61NO16P",
  "method": "ωB97M-V/def2-TZVPD",
  "total_energy_ha": -3122.4927,
  "total_charge": -1,
  "fmax_ha_per_bohr": 0.11467,
  "elements": ["C", "C", "C", "C", "C", "O", "P", "O", "C", "C", "C", "C", "C", "N", "C", "H", "H", "H", "H", "H", "H", "H", "H", "H", "H", "H", "H", "H", "H", "H", "H", "H", "H", "H", "O", "C", "O", "C", "C", "C", "H", "H", "H", "H", "H", "H", "O", "C", "O", "C", "C", "C", "H", "H", "H", "H", "H", "H", "O", "C", "O", "C", "C", "C", "H", "H", "H", "H", "H", "H", "O", "C", "O", "C", "C", "C", "H", "H", "H", "H", "H", "H", "O", "C", "O", "C", "C", "C", "H", "H", "H", "H", "H", "H", "O", "C", "O", "C", "C", "C", "H", "H", "H", "H", "H", "H", "O", "C", "O", "C", "C", "C", "H", "H", "H", "H", "H", "H"],
........

## Brief
It remains to find "3.18 -1.90" and "-5.81 -2.67" in the notes earlier on, and restate these two lines and those between.

## Outcome
H 3.18 -1.90 1.60  0.11
H 4.57 0.91 1.73  0.09
H 4.42 -0.20 0.26  0.11
H 2.84 1.60 -0.28  0.10
H 1.75 0.23 0.27  0.11
H 2.72 2.25 2.52  0.11
H 1.67 2.95 1.19  0.09
H 0.47 0.28 2.29  0.11
H 0.81 1.48 3.63  0.10
H -1.37 1.62 1.53  0.08
H -0.45 3.20 1.52  0.12
H -1.58 1.96 4.30  0.12
H -0.59 3.48 4.05  0.12
H -3.15 3.86 4.40  0.11
H -2.48 4.73 2.92  0.11
H -4.64 3.81 2.29  0.11
H -3.49 2.68 1.43  0.11
H -5.75 2.02 3.32  0.13
H -4.25 1.81 4.35  0.12
H -4.70 -0.33 3.56  0.16
H -6.46 0.33 1.89  0.16
H -7.42 -1.37 3.19  0.10
H -7.58 -2.90 2.11  0.11
H -8.02 -1.18 1.44  0.10
H -4.00 -2.35 -0.97  0.10
H -3.54 -2.80 0.74  0.09
H -4.40 -4.11 -0.35  0.09
C -6.08 -4.12 -3.36  -0.12
O -6.28 -4.62 -4.68  -0.20
C -5.93 -3.69 -5.70  -0.21
C -4.67 -4.15 -6.44  -0.21
N -3.49 -4.05 -5.59  -0.05
C -2.31 -4.74 -6.14  -0.20
C -2.41 -6.27 -6.34  -0.22
O -2.49 -7.01 -5.13  -0.18
C -3.79 -7.11 -4.58  -0.10
H -6.54 -4.82 -2.66  0.09
H -5.01 -4.07 -3.13  0.06
H -6.54 -3.14 -3.23  0.09
H -5.81 -2.67 -5.31  0.12